### Listing
/*
(one)
An optimized crystal structure of U2PbS6, computed with PBE.

Structure (POSCAR):
```
U2PbS6
1.0
6.363 0.000 0.000
0.000 6.363 0.000
0.000 0.000 12.328
U Pb S
4 2 12
Direct
0.500 0.500 0.332
0.500 0.500 0.668
0.000 0.000 0.168
0.000 0.000 0.832
0.500 0.500 0.000
0.000 0.000 0.500
0.706 0.706 0.184
0.706 0.706 0.816
0.678 0.678 0.500
0.822 0.178 0.000
0.794 0.206 0.316
0.794 0.206 0.684
0.206 0.794 0.316
0.206 0.794 0.684
0.178 0.822 0.000
0.322 0.322 0.500
0.294 0.294 0.184
0.294 0.294 0.816
```

---

(two)
An optimized crystal structure of U2PbS6, computed with PBE.

Structure (POSCAR):
```
U2PbS6
1.0
5.488 0.384 -0.508
-2.003 5.124 -0.508
0.007 0.011 7.184
U Pb S
2 1 6
Direct
0.243 0.257 0.500
0.757 0.743 0.500
0.500 0.000 0.000
0.976 0.116 0.782
0.384 0.524 0.218
0.024 0.884 0.218
0.616 0.476 0.782
0.271 0.771 0.608
0.729 0.229 0.392
```

---

Result of the stability comparison: (one) is the most stable of them.

---

(one)
An optimized crystal structure of U4PbS8, computed with PBE.

Structure (POSCAR):
```
U4PbS8
1.0
-2.392 5.492 5.544
-0.882 -2.202 7.809
5.273 2.689 5.619
U Pb S
4 1 8
Direct
0.884 0.372 0.372
0.372 0.884 0.372
0.372 0.372 0.884
0.372 0.372 0.372
0.750 0.750 0.750
0.586 0.138 0.138
0.138 0.586 0.138
0.138 0.138 0.586
0.138 0.138 0.138
0.170 0.610 0.610
0.610 0.170 0.610
0.610 0.610 0.170
0.610 0.610 0.610
```

---

(two)
An optimized crystal structure of U4PbS8, computed with PBE.

Structure (POSCAR):
```
U4PbS8
1.0
7.841 -0.013 -1.874
-4.548 6.436 -1.699
-0.261 -0.443 8.040
U Pb S
4 1 8
Direct
0.247 0.247 0.000
0.753 0.753 0.000
0.264 0.765 0.029
0.736 0.235 0.971
0.000 0.500 0.500
0.702 0.034 0.207
0.174 0.506 0.207
0.688 0.507 0.195
0.185 0.026 0.210
0.815 0.974 0.790
0.312 0.493 0.805
0.826 0.494 0.793
0.298 0.966 0.793
```

---

Result of the stability comparison: (one) is the most stable of them.

---

(one)
An optimized crystal structure of U2Pb2S7, computed with PBE.

Structure (POSCAR):
```
U2Pb2S7
1.0
4.020 0.000 0.000
2.010 8.540 0.117
2.010 4.152 7.463
U Pb S
2 2 7
Direct
0.000 0.790 0.210
0.500 0.334 0.666
0.743 0.827 0.688
0.257 0.312 0.173
0.831 0.049 0.289
0.884 0.414 0.818
0.500 0.011 0.989
0.596 0.516 0.293
0.404 0.707 0.484
0.169 0.711 0.951
0.116 0.182 0.586
```

---

(two)
An optimized crystal structure of U2Pb2S7, computed with PBE.

Structure (POSCAR):
```
U2Pb2S7
1.0
3.724 0.000 0.799
0.978 7.613 4.520
0.037 0.101 8.907
U Pb S
2 2 7
Direct
0.740 0.848 0.672
0.260 0.328 0.152
0.000 0.806 0.194
0.500 0.328 0.672
0.816 0.077 0.292
0.844 0.426 0.886
0.500 0.024 0.976
0.636 0.462 0.266
0.364 0.734 0.538
0.184 0.708 0.923
0.156 0.114 0.574
```

---

Result of the stability comparison: (two) is the most stable of them.

---

(one)
An optimized crystal structure of PbWS3, computed with PBE.

Structure (POSCAR):
```
PbWS3
1.0
5.056 0.000 0.000
0.000 5.056 0.000
0.000 0.000 5.056
Pb S W
1 3 1
Direct
0.000 0.000 0.000
0.000 0.500 0.000
0.000 0.000 0.500
0.500 0.000 0.000
0.500 0.500 0.500
```

---

(two)
An optimized crystal structure of PbWS3, computed with PBE.

Structure (POSCAR):
```
PbWS3
1.0
4.750 0.000 0.000
0.000 4.750 0.000
0.000 0.000 4.750
Pb S W
1 3 1
Direct
0.500 0.500 0.500
0.000 0.500 0.000
0.000 0.000 0.500
0.500 0.000 0.000
0.000 0.000 0.000
```

---

Result of the stability comparison: (two) is the most stable of them.

---

(one)
An optimized crystal structure of YPb3S, computed with PBE.

Structure (POSCAR):
```
YPb3S
1.0
5.936 0.000 0.000
0.000 5.936 0.000
0.000 0.000 5.936
Pb Y S
3 1 1
Direct
0.000 0.500 0.000
0.000 0.000 0.500
0.500 0.000 0.000
0.000 0.000 0.000
0.500 0.500 0.500
```

---

(two)
An optimized crystal structure of YPb3S, computed with PBE.

Structure (POSCAR):
```
YPb3S
1.0
5.459 0.000 0.000
0.000 5.459 0.000
0.000 0.000 5.459
Pb Y S
3 1 1
Direct
0.000 0.500 0.000
0.000 0.000 0.500
0.500 0.000 0.000
0.500 0.500 0.500
0.000 0.000 0.000
```

---

Result of the stability comparison: (two) is the most stable of them.

---

(one)
*/
### What to do
Say how many lines of the entries further up hold the word "An", as a bare number.
### Solution
10